Water Supply And Wastewater Engineering: Unit V: Sewage Treatment And Disposal

Other Sewage Treatment Methods

It is a modified activated sludge process (ASP). It eliminates primary sedimentation and sludge digestion.


• It is a modified activated sludge process (ASP). It eliminates primary sedimentation and sludge digestion.

• As the aeration time is longer, it is called extended aeration process.

• Oxidation-ditch plant is economical for population upto 1.5 lakh, compared

• Land requirement is less.

• Oxidation ditch plant involves the construction of number of ditch channels, placed side by side having depth of 1-1.5 m, width of 1-5 m based on the rotors from 150 m to 1000 

• The oxidation ditches may be constructed either in earthwork with earthern embankments (or) in brick (or) in stone masonry walls.

• Each ditch channel is equipped with a horizontal axis rotor for agitating and circulating the sewage and thereby oxygenating the sewage and keeping the sewage-solids in suspension.

• The velocity of sewage is 0.3 m/s.

• The aerated sewage is then settled in a settling tank by stopping the rotors for 2 hours.

........
1.
Crystalline Sr2MnSiTc at its relaxed geometry, computed with PBE-GGA.

```
Sr2MnSiTc
1.0
5.783 0.000 0.000
0.000 5.783 0.000
0.000 0.000 4.656
Sr Mn Si Tc
2 1 1 1
Cartesian
0.000 2.892 0.000
2.892 0.000 0.000
0.000 0.000 2.328
2.892 2.892 2.328
2.892 2.892 0.000
```

Computed properties:
SG: P4/mmm, No. 123
Energy relative to the elements, uncorrected: 685 meV per atom


2.
Crystalline Nd2Y3Pd2 at its relaxed geometry, computed with PBE-GGA.

```
Nd2Y3Pd2
1.0
6.350 -1.868 0.000
6.350 1.868 0.000
-4.258 0.000 8.206
Nd Y Pd
2 3 2
Cartesian
0.662 0.000 2.577
7.779 0.000 5.629
4.641 0.000 0.491
4.221 0.000 4.103
3.800 0.000 7.714
-1.023 0.000 6.063
9.465 0.000 2.143
```

Computed properties:
SG: C2/m, No. 12
Energy of formation from the pure elements: -504.6 meV/atom
........

• When rotors are stopped, the supernatant liquor is taken out.

• A part of settled sludge is recirculated and the excess sludge (stabilised) is easily dried in sand beds and disposed suitably.


Types of Oxidation Ditches:

(i) Intermittent Flow Type:

• There is no separate settling tank.

• When the rotor is stopped, the sludge get settled and the supernatant is 2009d withdrawn.

# Someone pasted crystal structures at this point
<<<
Entry 1:
Compound: K2Mo
Source: Alexandria via LeMat-Bulk
Functional: PBE
Structure: relaxed

The calculation puts the offset from the most stable computed form at 0.0 meV/atom. The calculation puts the magnetization at 0.0634 μB per atom. The density of states at the Fermi level is 11.93 states/eV per cell. The value obtained for the formation energy is 820 meV per atom.

The structure belongs to space group C2/m (No. 12); the cell edges are 13.6198, 3.4115 and 11.4470 Å and the angles 90.00°, 111.55° and 90.00°. Symmetry generates all atoms from K at (0.0173, 0.0000, 0.1737), K at (0.1661, 0.5000, 0.6280) and Mo at (0.2259, 0.5000, 0.0538).

Entry 2:
Compound: K2Mo
Source: Alexandria via LeMat-Bulk
Functional: PBE
Structure: relaxed

The calculation puts the offset from the most stable computed form at 106.3 meV/atom. The calculation puts the magnetization at 0.1144 μB per atom. The density of states at the Fermi level is 10.76 states/eV per cell. The value obtained for the formation energy is 927 meV per atom.

The structure belongs to space group Cmcm (No. 63); the cell edges are 20.1182, 8.2071 and 3.4779 Å and the angles 90.00°, 90.00° and 90.00°. Symmetry generates all atoms from K at (0.1436, 0.2435, 0.2500) and Mo at (0.0000, 0.0960, 0.7500).

Entry 3:
Compound: K3Mo
Source: Alexandria via LeMat-Bulk
Functional: PBE
Structure: relaxed

The calculation puts the offset from the most stable computed form at 418.7 meV/atom. The calculation puts the magnetization at 1.2774 μB per atom. The density of states at the Fermi level is 4.98 states/eV per cell. The value obtained for the formation energy is 1151 meV per atom.

The structure belongs to space group I4/mmm (No. 139); the cell edges are 6.4942, 6.4942 and 9.2515 Å and the angles 90.00°, 90.00° and 90.00°. Symmetry generates all atoms from K at (0.0000, 0.0000, 0.0000), K at (0.0000, 0.5000, 0.2500) and Mo at (0.0000, 0.0000, 0.5000).

Entry 4:
Compound: KMo
Source: Alexandria via LeMat-Bulk
Functional: PBE
Structure: relaxed

The calculation puts the offset from the most stable computed form at 971.2 meV/atom. The calculation puts the magnetization at 0.0000 μB per atom. The density of states at the Fermi level is 5.81 states/eV per cell. The value obtained for the formation energy is 1717 meV per atom.

The structure belongs to space group P4_2/mnm (No. 136); the cell edges are 7.1338, 7.1338 and 7.1703 Å and the angles 90.00°, 90.00° and 90.00°. Symmetry generates all atoms from K at (0.1675, 0.1675, 0.0000) and Mo at (0.0993, 0.0993, 0.5000).

Entry 5:
Compound: K2Mo
Source: Alexandria via LeMat-Bulk
Functional: PBE
Structure: relaxed

The calculation puts the offset from the most stable computed form at 711.3 meV/atom. The calculation puts the magnetization at 1.6257 μB per atom. The density of states at the Fermi level is 3.89 states/eV per cell. The value obtained for the formation energy is 1532 meV per atom.
>>>
# Here the piece continues

• The surplus sludge is removed and disposed after treatment.

(ii) Continuous Flow Type:

• There is continuous operation. The mixed liquid gets settled in a separate settling tank.

Design Considerations:

• Long aeration basin to carry MLSS conc - 3000 to 8000 mg/l.

• Materials data, as found in the file:
-- begin --
(1)
EuGaSn2: relaxed, GGA-PBE.

Unit cell a=4.9002 b=4.9002 c=6.0659 alpha=66.18 beta=66.18 gamma=60.00
Positions (direct):
Eu (0.5000, 0.5000, 0.5000)
Sn (0.2820, 0.2820, 0.1540)
Sn (0.7180, 0.7180, 0.8460)
Ga (0.0000, 0.0000, 0.0000)

Summary:
SG: No. 166


(2)
Pm15DyTm4: relaxed, GGA-PBE.

Unit cell a=5.1123 b=5.1123 c=25.4517 alpha=90.00 beta=90.00 gamma=90.00
Positions (direct):
Tm (0.0000, 0.0000, 0.2003)
Tm (0.0000, 0.0000, 0.7997)
Tm (0.0000, 0.0000, 0.4000)
Tm (0.0000, 0.0000, 0.6000)
Pm (0.5000, 0.0000, 0.5000)
Pm (0.5000, 0.5000, 0.6000)
Pm (0.5000, 0.0000, 0.8996)
Pm (0.0000, 0.5000, 0.6999)
Pm (0.5000, 0.5000, 0.4000)
Pm (0.5000, 0.0000, 0.6999)
Pm (0.5000, 0.0000, 0.1004)
Pm (0.5000, 0.5000, 0.0000)
Pm (0.5000, 0.5000, 0.7997)
Pm (0.5000, 0.5000, 0.2003)
Pm (0.0000, 0.5000, 0.1004)
Pm (0.0000, 0.5000, 0.5000)
Pm (0.0000, 0.5000, 0.3001)
Pm (0.5000, 0.0000, 0.3001)
Pm (0.0000, 0.5000, 0.8996)
Dy (0.0000, 0.0000, 0.0000)

Summary:
SG: No. 123


(3)
K2SrLiCl5: relaxed, GGA-PBE.

Unit cell a=4.3161 b=9.3277 c=13.7431 alpha=90.00 beta=90.00 gamma=103.38
Positions (direct):
Sr (0.8002, 0.6004, 0.5339)
Sr (0.1998, 0.3996, 0.0339)
Cl (0.7100, 0.4200, 0.1761)
Cl (0.3151, 0.6301, 0.3922)
Cl (0.4950, 0.9900, 0.7738)
Cl (0.9594, 0.9189, 0.5072)
Cl (0.6446, 0.2893, 0.5092)
Cl (0.5050, 0.0100, 0.2738)
Cl (0.0406, 0.0811, 0.0072)
Cl (0.3554, 0.7107, 0.0092)
Cl (0.6849, 0.3699, 0.8922)
Cl (0.2900, 0.5800, 0.6761)
Li (0.5500, 0.1001, 0.9255)
Li (0.4500, 0.8999, 0.4255)
K (0.8746, 0.7492, 0.8383)
K (0.9064, 0.8128, 0.1676)
K (0.0936, 0.1872, 0.6676)
K (0.1254, 0.2508, 0.3383)

Summary:
SG: No. 36
-- stop --

• F/M ratio (loading factor) is low - 0

• Efficiency - 95% for suspended solids removal,

- 98% for BOD removal.

• Settled sludge which is mineralised is dried without odours.

• Detention period = 12 to 15 hours (or)

0.8 to 2.5 m3 per kg of BOD, load in sewage.

• Volume of ditch = 150 m3 per metre length of rotor.

Kinetic Equations (similar to ASP):

Normally MLVSS is taken as the mass of active micro-organism in reactor, but in oxidation ditch, it includes inactive volatile suspended solids also.

Influent soluble BOD S0 = La - BOD of suspended solids in influent

(0.25 kg/kg of SS).

BOD of SS escaping with effluent = 0.45 kg/kg of SS.

Microbial mass conc = 60% MLSS.

SS - Suspended Solids

MLVSS - Mixed Liquor Volatile Suspended Solids

Microbial mass in excess sludge, 

Wasting of excess sludge =

Active microbes in return sludge.

Hydraulic retention time = V/Q

Process loading  kg total BOD/kg of MLSS.

Water Supply And Wastewater Engineering: Unit V: Sewage Treatment And Disposal : Tag: : - Other Sewage Treatment Methods